Listing >
-- begin --
Version i
DFT (PBE) results for BaMo2Au after structural relaxation.

Cell: 4.962 4.962 7.009 Å, 90.00 90.00 90.00°
Sites, in units of the cell vectors:
Ba1 0.000 0.000 0.000
Ba2 0.500 0.500 0.500
Mo1 0.000 0.000 0.500
Mo2 0.000 0.500 0.750
Mo3 0.500 0.000 0.250
Mo4 0.500 0.500 0.000
Au1 0.000 0.500 0.250
Au2 0.500 0.000 0.750

Output
N(E_F) (states/eV/atom): 0.73

***

Version ii
DFT (PBE) results for BaMo2Au after structural relaxation.

Cell: 2.906 5.300 11.357 Å, 90.00 90.00 90.00°
Sites, in units of the cell vectors:
Ba1 0.000 0.000 0.000
Ba2 0.500 0.500 0.500
Mo1 0.000 0.500 0.221
Mo2 0.000 0.500 0.779
Mo3 0.500 0.000 0.279
Mo4 0.500 0.000 0.721
Au1 0.000 0.000 0.500
Au2 0.500 0.500 0.000

Output
N(E_F) (states/eV/atom): 1.03

***

Version iii
DFT (PBE) results for BaMo2Au after structural relaxation.

Cell: 3.694 3.694 7.303 Å, 90.00 90.00 90.00°
Sites, in units of the cell vectors:
Ba1 0.000 0.000 0.000
Mo1 0.500 0.500 0.351
Mo2 0.500 0.500 0.649
Au1 0.000 0.000 0.500

Output
N(E_F) (states/eV/atom): 1.39

***

Version iv
DFT (PBE) results for BaMo2Au after structural relaxation.

Cell: 5.897 10.222 2.817 Å, 90.00 90.00 90.00°
Sites, in units of the cell vectors:
Ba1 0.000 0.000 0.000
Ba2 0.500 0.500 0.000
Mo1 0.250 0.250 0.500
Mo2 0.250 0.750 0.500
Mo3 0.750 0.250 0.500
Mo4 0.750 0.750 0.500
Au1 0.000 0.500 0.000
Au2 0.500 0.000 0.000

Output
N(E_F) (states/eV/atom): 1.10

***

The structure with the most favorable energy is version iii; the runner-up is 143 meV per atom above it.

***

Version i
DFT (PBE) results for BaMo3Au after structural relaxation.

Cell: 4.924 4.924 4.924 Å, 90.00 90.00 90.00°
Sites, in units of the cell vectors:
Ba1 0.000 0.000 0.000
Mo1 0.000 0.000 0.500
Mo2 0.000 0.500 0.000
Mo3 0.500 0.000 0.000
Au1 0.500 0.500 0.500

Output
N(E_F) (states/eV/atom): 1.64

***

Version ii
DFT (PBE) results for BaMo3Au after structural relaxation.

Cell: 5.127 5.127 5.127 Å, 90.00 90.00 90.00°
Sites, in units of the cell vectors:
Ba1 0.000 0.000 0.000
Mo1 0.000 0.500 0.500
Mo2 0.500 0.000 0.500
Mo3 0.500 0.500 0.000
Au1 0.500 0.500 0.500

Output
N(E_F) (states/eV/atom): 1.59

***

The structure with the most favorable energy is version ii; the runner-up is 1142 meV per atom above it.


(1)
The following is a DFT calculation (PBE-GGA) of a geometry-optimized Sc3Al3NiPd2 structure.

The structure in POSCAR format:
```
Sc3Al3NiPd2
1.0
6.9677 0.0000 0.0000
-3.4838 6.0342 0.0000
0.0000 0.0000 3.6766
Sc Al Ni Pd
3 3 1 2
direct
0.0000 0.5946 0.0000 Sc
0.4054 0.4054 0.0000 Sc
0.5946 0.0000 0.0000 Sc
0.0000 0.2405 0.5000 Al
0.2405 0.0000 0.5000 Al
0.7595 0.7595 0.5000 Al
0.0000 0.0000 0.0000 Ni
0.3333 0.6667 0.5000 Pd
0.6667 0.3333 0.5000 Pd
```

Values from the calculation:
The total magnetization comes out at 0.0 μB/cell. As for the total energy: -53.3 eV/cell.

***

(2)
The following is a DFT calculation (PBE-GGA) of a geometry-optimized SmAl5NiPd structure.

The structure in POSCAR format:
```
SmAl5NiPd
1.0
-2.0083 3.6063 4.8650
2.0083 -3.6063 4.8650
2.0083 3.6063 -4.8650
Sm Al Ni Pd
1 5 1 1
direct
0.0000 0.0000 0.0000 Sm
0.1574 0.3548 0.8025 Al
0.4776 0.6613 0.8163 Al
0.5128 0.0128 0.5000 Al
0.5523 0.3548 0.1975 Al
0.8450 0.6613 0.1837 Al
0.7493 0.2493 0.5000 Ni
0.2641 0.7641 0.5000 Pd
```

Values from the calculation:
The total magnetization comes out at 0.0 μB/cell. As for the total energy: -39.3 eV/cell.

***

(3)
The following is a DFT calculation (PBE-GGA) of a geometry-optimized SrAl5NiPd structure.

The structure in POSCAR format:
```
SrAl5NiPd
1.0
-2.0303 3.6452 4.9733
2.0303 -3.6452 4.9733
2.0303 3.6452 -4.9733
Sr Al Ni Pd
1 5 1 1
direct
0.0000 0.0000 0.0000 Sr
0.1561 0.3385 0.8176 Al
0.4557 0.6532 0.8026 Al
0.4909 0.9909 0.5000 Al
0.5209 0.3385 0.1824 Al
0.8506 0.6532 0.1974 Al
0.2605 0.7605 0.5000 Ni
0.7337 0.2337 0.5000 Pd
```

Values from the calculation:
The total magnetization comes out at 0.0 μB/cell. As for the total energy: -35.6 eV/cell.

***

(4)
-- stop --

Activity >
The reader should copy the data above from the line with "Cell: 5.897" to the end unchanged.

Outcome >
Cell: 5.897 10.222 2.817 Å, 90.00 90.00 90.00°
Sites, in units of the cell vectors:
Ba1 0.000 0.000 0.000
Ba2 0.500 0.500 0.000
Mo1 0.250 0.250 0.500
Mo2 0.250 0.750 0.500
Mo3 0.750 0.250 0.500
Mo4 0.750 0.750 0.500
Au1 0.000 0.500 0.000
Au2 0.500 0.000 0.000

Output
N(E_F) (states/eV/atom): 1.10

***

The structure with the most favorable energy is version iii; the runner-up is 143 meV per atom above it.

***

Version i
DFT (PBE) results for BaMo3Au after structural relaxation.

Cell: 4.924 4.924 4.924 Å, 90.00 90.00 90.00°
Sites, in units of the cell vectors:
Ba1 0.000 0.000 0.000
Mo1 0.000 0.000 0.500
Mo2 0.000 0.500 0.000
Mo3 0.500 0.000 0.000
Au1 0.500 0.500 0.500

Output
N(E_F) (states/eV/atom): 1.64

***

Version ii
DFT (PBE) results for BaMo3Au after structural relaxation.

Cell: 5.127 5.127 5.127 Å, 90.00 90.00 90.00°
Sites, in units of the cell vectors:
Ba1 0.000 0.000 0.000
Mo1 0.000 0.500 0.500
Mo2 0.500 0.000 0.500
Mo3 0.500 0.500 0.000
Au1 0.500 0.500 0.500

Output
N(E_F) (states/eV/atom): 1.59

***

The structure with the most favorable energy is version ii; the runner-up is 1142 meV per atom above it.


(1)
The following is a DFT calculation (PBE-GGA) of a geometry-optimized Sc3Al3NiPd2 structure.

The structure in POSCAR format:
```
Sc3Al3NiPd2
1.0
6.9677 0.0000 0.0000
-3.4838 6.0342 0.0000
0.0000 0.0000 3.6766
Sc Al Ni Pd
3 3 1 2
direct
0.0000 0.5946 0.0000 Sc
0.4054 0.4054 0.0000 Sc
0.5946 0.0000 0.0000 Sc
0.0000 0.2405 0.5000 Al
0.2405 0.0000 0.5000 Al
0.7595 0.7595 0.5000 Al
0.0000 0.0000 0.0000 Ni
0.3333 0.6667 0.5000 Pd
0.6667 0.3333 0.5000 Pd
```

Values from the calculation:
The total magnetization comes out at 0.0 μB/cell. As for the total energy: -53.3 eV/cell.

***

(2)
The following is a DFT calculation (PBE-GGA) of a geometry-optimized SmAl5NiPd structure.

The structure in POSCAR format:
```
SmAl5NiPd
1.0
-2.0083 3.6063 4.8650
2.0083 -3.6063 4.8650
2.0083 3.6063 -4.8650
Sm Al Ni Pd
1 5 1 1
direct
0.0000 0.0000 0.0000 Sm
0.1574 0.3548 0.8025 Al
0.4776 0.6613 0.8163 Al
0.5128 0.0128 0.5000 Al
0.5523 0.3548 0.1975 Al
0.8450 0.6613 0.1837 Al
0.7493 0.2493 0.5000 Ni
0.2641 0.7641 0.5000 Pd
```

Values from the calculation:
The total magnetization comes out at 0.0 μB/cell. As for the total energy: -39.3 eV/cell.

***

(3)
The following is a DFT calculation (PBE-GGA) of a geometry-optimized SrAl5NiPd structure.

The structure in POSCAR format:
```
SrAl5NiPd
1.0
-2.0303 3.6452 4.9733
2.0303 -3.6452 4.9733
2.0303 3.6452 -4.9733
Sr Al Ni Pd
1 5 1 1
direct
0.0000 0.0000 0.0000 Sr
0.1561 0.3385 0.8176 Al
0.4557 0.6532 0.8026 Al
0.4909 0.9909 0.5000 Al
0.5209 0.3385 0.1824 Al
0.8506 0.6532 0.1974 Al
0.2605 0.7605 0.5000 Ni
0.7337 0.2337 0.5000 Pd
```

Values from the calculation:
The total magnetization comes out at 0.0 μB/cell. As for the total energy: -35.6 eV/cell.

***

(4)